Wanted
Now reproduce the part of the contents further below that starts with the line with "0.174" and stops after the one with "43.74".
Material
'''
Computed powder diffractogram
Compound: CaV2P2O9
Radiation: Cu Kα
Structure: a cell relaxed with PBE+U
Peak positions follow from Bragg's law for the DFT cell and can differ from measured ones.

Crystal structure
```
CaV2P2O9
1.0
14.347 0.000 0.000
0.000 6.558 0.000
0.000 0.000 7.483
Ca V P O
4 8 8 36
direct
0.222 0.250 0.109
0.278 0.750 0.609
0.722 0.250 0.391
0.778 0.750 0.891
0.000 0.000 0.000
0.000 0.500 0.000
0.119 0.250 0.648
0.381 0.750 0.148
0.500 0.000 0.500
0.500 0.500 0.500
0.619 0.250 0.852
0.881 0.750 0.352
0.068 0.750 0.640
0.192 0.750 0.111
0.308 0.250 0.611
0.432 0.250 0.140
0.568 0.750 0.860
0.692 0.750 0.389
0.808 0.250 0.889
0.932 0.250 0.360
0.008 0.250 0.502
0.018 0.750 0.826
0.055 0.250 0.876
0.130 0.555 0.105
0.130 0.945 0.105
0.134 0.565 0.630
0.134 0.935 0.630
0.234 0.250 0.459
0.248 0.250 0.784
0.252 0.750 0.284
0.266 0.750 0.959
0.366 0.065 0.130
0.366 0.435 0.130
0.370 0.055 0.605
0.370 0.445 0.605
0.445 0.750 0.376
0.482 0.250 0.326
0.492 0.750 0.002
0.508 0.250 0.998
0.518 0.750 0.674
0.555 0.250 0.624
0.630 0.555 0.395
0.630 0.945 0.395
0.634 0.565 0.870
0.634 0.935 0.870
0.734 0.250 0.041
0.748 0.250 0.716
0.752 0.750 0.216
0.766 0.750 0.541
0.866 0.065 0.370
0.866 0.435 0.370
0.870 0.055 0.895
0.870 0.445 0.895
0.945 0.750 0.124
0.982 0.250 0.174
0.992 0.750 0.498
```

Largest 12 diffraction maxima, in order of rising 2θ, 2θ = 15–90°:
2θ (°)  Rel. int.
17.1  31
24.6  100
27.2  37
27.6  26
30.0  15
30.4  43
33.4  26
35.3  18
39.1  21
50.4  16
56.1  17
56.4  22

* * * * *

# LaHo2Cu6
Calculated powder X-ray diffraction pattern, CuKα. Input: a cell relaxed with GGA-PBE.
Kinematic intensities with the Lorentz-polarization factor, no thermal factor.

Crystal structure
```
LaHo2Cu6
1.0
7.3720 0.0000 0.0000
-3.6860 6.3843 0.0000
0.0000 0.0000 3.6491
La Ho Cu
1 2 6
Cartesian
0.0000 0.0000 0.0000 La
0.0000 4.2562 0.0000 Ho
3.6860 2.1281 0.0000 Ho
-1.2421 2.1513 1.8245 Cu
-2.4439 4.2330 1.8245 Cu
2.4841 0.0000 1.8245 Cu
1.2421 2.1513 1.8245 Cu
4.8879 0.0000 1.8245 Cu
2.4439 4.2330 1.8245 Cu
```

Main lines, in order of falling intensity (10° ≤ 2θ ≤ 90°):
Position (°2θ)	I (rel.)
34.59	100
42.48	48
55.89	25
67.64	23
72.64	22
24.14	18
49.99	10
77.72	8
83.74	8
56.26	4
49.45	3
88.25	2



# LiPuBO5
Calculated powder X-ray diffraction pattern, CuKα. Input: a cell relaxed with GGA-PBE.
Kinematic intensities with the Lorentz-polarization factor, no thermal factor.

Crystal structure
```
LiPuBO5
1.0
3.6697 -3.9601 0.0000
3.6697 3.9601 0.0000
-3.6032 0.0000 6.7984
Li Pu B O
2 2 2 10
Cartesian
0.9673 3.2103 5.0988 Li
2.7689 -3.2103 1.6996 Li
1.8349 1.9801 0.0000 Pu
0.0332 -1.9801 3.3992 Pu
0.9673 0.7397 5.0988 B
2.7689 -0.7397 1.6996 B
2.7689 2.7921 1.6996 O
0.0850 1.6386 5.8597 O
1.9492 0.1192 0.7849 O
0.1476 -0.1192 4.1841 O
1.8496 1.6386 4.3380 O
1.8866 -1.6386 2.4605 O
3.5887 0.1192 2.6143 O
1.7871 -0.1192 6.0135 O
3.6512 -1.6386 0.9388 O
0.9673 -2.7921 5.0988 O
```

Main lines, in order of falling intensity (10° ≤ 2θ ≤ 90°):
Position (°2θ)	I (rel.)
17.76	100
25.60	56
22.45	29
27.74	25
34.78	19
36.80	16
26.22	15
43.74	15
49.79	14
41.39	14
27.51	14
39.04	13



# BaNa2NpO4
Calculated powder X-ray diffraction pattern, CuKα. Input: a cell relaxed with GGA-PBE.
Kinematic intensities with the Lorentz-polarization factor, no thermal factor.

Crystal structure
```
BaNa2NpO4
1.0
-2.3884 2.3884 6.0023
2.3884 -2.3884 6.0023
2.3884 2.3884 -6.0023
Ba Na Np O
1 2 1 4
Cartesian
0.0000 0.0000 0.0000 Ba
0.0000 0.0000 6.0023 Na
0.0000 2.3884 3.0011 Na
2.3884 0.0000 3.0011 Np
2.3884 0.0000 0.8544 O
0.0000 0.0000 2.9004 O
2.3884 0.0000 5.1479 O
0.0000 0.0000 9.1041 O
```

Main lines, in order of falling intensity (10° ≤ 2θ ≤ 90°):
Position (°2θ)	I (rel.)
20.01	100
30.36	76
37.66	38
48.73	30
29.77	30
43.00	28
29.11	26
53.21	21
63.51	20
42.12	17
48.29	14
63.17	14



# ThSi2Ge2Pt7
Calculated powder X-ray diffraction pattern, CuKα. Input: a cell relaxed with GGA-PBE.
'''
Written answer
0.982 0.250 0.174
0.992 0.750 0.498
```

Largest 12 diffraction maxima, in order of rising 2θ, 2θ = 15–90°:
2θ (°)  Rel. int.
17.1  31
24.6  100
27.2  37
27.6  26
30.0  15
30.4  43
33.4  26
35.3  18
39.1  21
50.4  16
56.1  17
56.4  22

* * * * *

# LaHo2Cu6
Calculated powder X-ray diffraction pattern, CuKα. Input: a cell relaxed with GGA-PBE.
Kinematic intensities with the Lorentz-polarization factor, no thermal factor.

Crystal structure
```
LaHo2Cu6
1.0
7.3720 0.0000 0.0000
-3.6860 6.3843 0.0000
0.0000 0.0000 3.6491
La Ho Cu
1 2 6
Cartesian
0.0000 0.0000 0.0000 La
0.0000 4.2562 0.0000 Ho
3.6860 2.1281 0.0000 Ho
-1.2421 2.1513 1.8245 Cu
-2.4439 4.2330 1.8245 Cu
2.4841 0.0000 1.8245 Cu
1.2421 2.1513 1.8245 Cu
4.8879 0.0000 1.8245 Cu
2.4439 4.2330 1.8245 Cu
```

Main lines, in order of falling intensity (10° ≤ 2θ ≤ 90°):
Position (°2θ)	I (rel.)
34.59	100
42.48	48
55.89	25
67.64	23
72.64	22
24.14	18
49.99	10
77.72	8
83.74	8
56.26	4
49.45	3
88.25	2



# LiPuBO5
Calculated powder X-ray diffraction pattern, CuKα. Input: a cell relaxed with GGA-PBE.
Kinematic intensities with the Lorentz-polarization factor, no thermal factor.

Crystal structure
```
LiPuBO5
1.0
3.6697 -3.9601 0.0000
3.6697 3.9601 0.0000
-3.6032 0.0000 6.7984
Li Pu B O
2 2 2 10
Cartesian
0.9673 3.2103 5.0988 Li
2.7689 -3.2103 1.6996 Li
1.8349 1.9801 0.0000 Pu
0.0332 -1.9801 3.3992 Pu
0.9673 0.7397 5.0988 B
2.7689 -0.7397 1.6996 B
2.7689 2.7921 1.6996 O
0.0850 1.6386 5.8597 O
1.9492 0.1192 0.7849 O
0.1476 -0.1192 4.1841 O
1.8496 1.6386 4.3380 O
1.8866 -1.6386 2.4605 O
3.5887 0.1192 2.6143 O
1.7871 -0.1192 6.0135 O
3.6512 -1.6386 0.9388 O
0.9673 -2.7921 5.0988 O
```

Main lines, in order of falling intensity (10° ≤ 2θ ≤ 90°):
Position (°2θ)	I (rel.)
17.76	100
25.60	56
22.45	29
27.74	25
34.78	19
36.80	16
26.22	15
43.74	15